[What to do]
Your job: return the lines below from the line with "-0.4 -0.5" to the end with every line break kept.
[Listing]
~~~
Record 1
Computed, not measured: C32H16AuFN8 as an isolated structure in a non-equilibrium geometry, with wB97M-V/def2-TZVPD.

XYZ file:
```
58
Properties=species:S:1:pos:R:3:forces:R:3
Au 0.006638 -0.036683 0.030243 0.3 0.1 0.1
F -1.596315 -1.139153 -1.173943 -0.1 -0.1 -0.1
N -0.512253 -0.757645 1.768736 -0.1 -0.3 1.3
N -1.175508 1.476177 0.310052 -1.3 0.8 0.0
N 1.216171 -1.536460 -0.220882 0.5 -1.2 -0.5
N -0.732884 2.715512 -1.669450 0.2 0.4 -0.5
N 2.169126 -0.932040 -2.319635 0.3 0.1 -0.5
N 0.740264 -2.773420 1.744819 0.1 -0.3 0.6
N -2.113924 0.882259 2.412901 -0.1 -0.1 0.7
N 0.664345 0.779260 -1.615433 0.7 0.7 -0.9
C 2.190486 1.365762 -3.197053 -0.3 0.9 -0.2
C -3.206281 2.388088 0.847889 0.0 0.5 -0.5
C -1.497235 2.364285 -0.679793 0.2 -0.2 0.2
C -4.416630 2.724757 1.427569 0.0 0.1 0.0
C -3.598154 3.847846 -1.044753 0.0 0.0 0.0
C 1.727222 0.313663 -2.338552 -0.4 -0.4 0.5
C -4.808701 4.185847 -0.456098 0.1 0.1 -0.2
C 1.552800 -3.801633 -0.324335 0.3 0.0 -0.7
C 1.525612 -5.176312 -0.166182 0.1 0.0 0.1
C 1.089993 -2.698340 0.496559 0.1 0.4 -0.1
C -0.894177 -0.543723 4.000281 0.5 -0.7 0.4
C 1.811124 -1.804746 -1.425887 -0.2 0.3 0.4
C -1.204853 -0.083806 5.275126 0.0 0.0 -0.2
C -2.790770 2.946724 -0.375068 -0.5 -0.1 0.6
C 1.532267 3.670479 -3.652386 -0.1 -0.1 0.1
C 3.261633 1.464724 -4.077888 -0.1 -0.1 0.1
C 0.292997 -1.769457 6.161859 0.0 -0.1 0.0
C 0.157166 -1.774005 2.388364 -0.1 -0.1 -0.6
C 3.468535 2.674001 -4.715029 0.0 -0.1 -0.1
C 2.032301 -3.231611 -1.518616 -0.2 -0.5 0.4
C 2.503635 -4.013232 -2.555761 0.0 0.0 0.1
C 2.615581 3.761991 -4.505674 0.0 0.1 0.0
C 1.994408 -5.958554 -1.214473 0.0 0.0 0.2
C 0.355696 2.046235 -2.015847 -0.4 -0.3 0.3
C -1.217802 -0.047787 2.697399 -0.1 0.1 -0.7
C -2.160594 1.481561 1.263610 0.4 0.0 -0.2
C -5.216716 3.635167 0.753727 0.1 -0.1 0.2
C 1.323940 2.467921 -2.987461 0.7 -0.4 -0.5
C -0.587698 -0.699291 6.347323 -0.1 0.1 0.0
C 2.483934 -5.390381 -2.386446 0.1 0.2 -0.1
C 0.575489 -2.267270 4.902947 0.0 0.0 -0.2
C -0.011171 -1.638671 3.808191 -0.5 0.6 0.6
H 1.131813 -5.624043 0.733441 0.0 0.0 0.1
H 1.262704 -3.088363 4.764232 0.0 -0.1 0.0
H 2.839244 -6.029421 -3.182244 0.0 0.0 0.0
H -5.454162 4.901721 -0.941197 -0.1 0.0 -0.1
H -3.297855 4.262648 -1.993142 0.1 0.1 -0.1
H -6.173701 3.921611 1.168414 0.0 0.0 0.0
H 2.818295 4.697912 -5.008434 0.0 0.0 0.0
H -1.878075 0.752056 5.396101 0.0 0.0 0.1
H -0.774344 -0.340119 7.348915 0.0 0.0 0.1
H 3.916999 0.622063 -4.230737 0.1 -0.1 -0.1
H 2.848434 -3.543117 -3.461493 0.1 0.0 -0.2
H 0.777482 -2.201360 7.025943 0.0 -0.1 0.0
H 4.307258 2.785320 -5.389009 0.0 0.0 0.0
H -4.724908 2.291850 2.365748 0.0 -0.1 0.1
H 1.975219 -7.035482 -1.119928 0.0 0.0 0.0
H 0.875899 4.508686 -3.477563 -0.1 0.1 0.0
```
Positions in Å, forces in eV/Å.

Output
- spin multiplicity = 1
- lowest unoccupied orbital energy (alpha / beta) (eV) = -1.85 / -1.86
- E_HOMO (alpha / beta) (eV) = -6.8 / -6.8

The Löwdin scheme yields these atomic charges, measured in e: 1.440 -0.706 -0.006 -0.017 -0.019 0.224 0.224 0.223 0.224 -0.007 -0.094 -0.091 -0.258 0.002 0.002 -0.245 -0.068 -0.085 0.002 -0.257 -0.097 -0.259 -0.005 -0.086 -0.006 -0.005 -0.073 -0.251 -0.072 -0.093 0.002 -0.072 -0.067 -0.249 -0.254 -0.260 -0.067 -0.095 -0.072 -0.065 -0.005 -0.091 0.116 0.115 0.105 0.104 0.116 0.105 0.104 0.116 0.104 0.114 0.116 0.104 0.104 0.116 0.105 0.115

Record 2
Computed, not measured: a 2-piece molecular cluster, C6H9N5 overall in a non-equilibrium geometry, with wB97M-V/def2-TZVPD.

XYZ file:
```
20
Properties=species:S:1:pos:R:3:forces:R:3
N -1.547252 -0.637321 0.744835 -0.5 -0.9 -0.2
N 0.370758 1.462772 0.958476 -1.8 0.2 0.5
N -3.608150 -0.871576 -0.293282 -1.5 0.5 -0.6
N 1.043240 0.515968 0.306092 2.1 -1.8 -0.5
N -2.528823 1.214287 -0.355494 -1.5 0.7 -0.3
C 2.223050 -0.279817 0.768168 -1.8 -0.4 1.1
C -2.575526 -1.398872 0.299133 1.4 -1.2 0.1
C -3.607928 0.457000 -0.546053 1.2 -1.9 0.8
C 2.639471 -1.112530 -0.512457 -2.3 0.1 2.6
C -1.652472 0.583757 0.337661 3.0 0.8 1.4
~~~
[Completed]
C 1.323940 2.467921 -2.987461 0.7 -0.4 -0.5
C -0.587698 -0.699291 6.347323 -0.1 0.1 0.0
C 2.483934 -5.390381 -2.386446 0.1 0.2 -0.1
C 0.575489 -2.267270 4.902947 0.0 0.0 -0.2
C -0.011171 -1.638671 3.808191 -0.5 0.6 0.6
H 1.131813 -5.624043 0.733441 0.0 0.0 0.1
H 1.262704 -3.088363 4.764232 0.0 -0.1 0.0
H 2.839244 -6.029421 -3.182244 0.0 0.0 0.0
H -5.454162 4.901721 -0.941197 -0.1 0.0 -0.1
H -3.297855 4.262648 -1.993142 0.1 0.1 -0.1
H -6.173701 3.921611 1.168414 0.0 0.0 0.0
H 2.818295 4.697912 -5.008434 0.0 0.0 0.0
H -1.878075 0.752056 5.396101 0.0 0.0 0.1
H -0.774344 -0.340119 7.348915 0.0 0.0 0.1
H 3.916999 0.622063 -4.230737 0.1 -0.1 -0.1
H 2.848434 -3.543117 -3.461493 0.1 0.0 -0.2
H 0.777482 -2.201360 7.025943 0.0 -0.1 0.0
H 4.307258 2.785320 -5.389009 0.0 0.0 0.0
H -4.724908 2.291850 2.365748 0.0 -0.1 0.1
H 1.975219 -7.035482 -1.119928 0.0 0.0 0.0
H 0.875899 4.508686 -3.477563 -0.1 0.1 0.0
```
Positions in Å, forces in eV/Å.

Output
- spin multiplicity = 1
- lowest unoccupied orbital energy (alpha / beta) (eV) = -1.85 / -1.86
- E_HOMO (alpha / beta) (eV) = -6.8 / -6.8

The Löwdin scheme yields these atomic charges, measured in e: 1.440 -0.706 -0.006 -0.017 -0.019 0.224 0.224 0.223 0.224 -0.007 -0.094 -0.091 -0.258 0.002 0.002 -0.245 -0.068 -0.085 0.002 -0.257 -0.097 -0.259 -0.005 -0.086 -0.006 -0.005 -0.073 -0.251 -0.072 -0.093 0.002 -0.072 -0.067 -0.249 -0.254 -0.260 -0.067 -0.095 -0.072 -0.065 -0.005 -0.091 0.116 0.115 0.105 0.104 0.116 0.105 0.104 0.116 0.104 0.114 0.116 0.104 0.104 0.116 0.105 0.115

Record 2
Computed, not measured: a 2-piece molecular cluster, C6H9N5 overall in a non-equilibrium geometry, with wB97M-V/def2-TZVPD.

XYZ file:
```
20
Properties=species:S:1:pos:R:3:forces:R:3
N -1.547252 -0.637321 0.744835 -0.5 -0.9 -0.2
N 0.370758 1.462772 0.958476 -1.8 0.2 0.5
N -3.608150 -0.871576 -0.293282 -1.5 0.5 -0.6
N 1.043240 0.515968 0.306092 2.1 -1.8 -0.5
N -2.528823 1.214287 -0.355494 -1.5 0.7 -0.3
C 2.223050 -0.279817 0.768168 -1.8 -0.4 1.1
C -2.575526 -1.398872 0.299133 1.4 -1.2 0.1
C -3.607928 0.457000 -0.546053 1.2 -1.9 0.8
C 2.639471 -1.112530 -0.512457 -2.3 0.1 2.6
C -1.652472 0.583757 0.337661 3.0 0.8 1.4